[What to do]
Restate only the last part of the contents underneath, starting with the line that has "(0.125, 0.125,".
[Data]
'''
This record from the Materials Project database describes MgTa2O6 after structural relaxation. The functional is GGA-PBE.

The space group is Pmn2_1 (No. 31) and the conventional cell measures 7.609, 5.511 and 5.230 Å, with angles of 90.00, 90.00 and 90.00 degrees. Symmetry generates all atoms from Mg at (0.000, 0.179, 0.000), Ta at (0.248, 0.739, 0.985), O at (0.000, 0.274, 0.613), O at (0.000, 0.791, 0.891), O at (0.185, 0.431, 0.151) and O at (0.199, 0.970, 0.257).

As for the energy relative to the elements: -3.270 eV/atom. As for the piezoelectric modulus e_max: 5.39 C/m2. The MP2020-corrected energy is -168.9 eV/cell.

* * * * *

Entry 1:
An optimized crystal structure of CuTeBr. Source: the Materials Project, functional GGA-PBE.

The volume is 28.6 A^3/atom. The energy of formation is -0.472 eV/atom. For the total magnetization, the calculation gives 0.02 μB/f.u. The theoretical density is 5.2 Mg/m³.

The structure belongs to space group Fddd (No. 70, origin choice 2); the cell edges are 5.167, 22.892 and 23.235 Å and the angles 90.00°, 90.00° and 90.00°. The distinct sites, in fractional coordinates, are Cu at (0.125, 0.125, 0.125), Cu at (0.125, 0.125, 0.625), Cu at (0.125, 0.261, 0.125), Te at (0.027, 0.068, 0.427) and Br at (0.125, 0.309, 0.310).


Entry 2:
An optimized crystal structure of DyBr3. Source: the Materials Project, functional GGA-PBE.

The volume is 46.5 A^3/atom. The energy of formation is -2.253 eV/atom. The theoretical density is 3.6 Mg/m³.

The structure belongs to space group P6_3/mmc (No. 194); the cell edges are 10.7092, 10.7092 and 3.7439 Å and the angles 90.00°, 90.00° and 120.00°. The distinct sites, in fractional coordinates, are Dy at (0.3333, 0.6667, 0.2500) and Br at (0.2191, 0.4382, 0.7500).


Entry 3:
An optimized crystal structure of KDyBr3. Source: the Materials Project, functional GGA-PBE.

The volume is 34.1 A^3/atom. The energy of formation is -1.869 eV/atom. For the total magnetization, the calculation gives 0.99 μB/f.u. The theoretical density is 4.3 Mg/m³.

The structure belongs to space group Pnma (No. 62); the cell edges are 8.073, 11.057 and 7.644 Å and the angles 90.00°, 90.00° and 90.00°. The distinct sites, in fractional coordinates, are K at (0.073, 0.250, 0.029), Dy at (0.000, 0.000, 0.500), Br at (0.026, 0.750, 0.397) and Br at (0.204, 0.546, 0.801).


Entry 4:
An optimized crystal structure of Rb2LiDyBr6. Source: the Materials Project, functional GGA-PBE.

The volume is 34.0 A^3/atom. The energy of formation is -2.116 eV/atom. For the total magnetization, the calculation gives 0.00 μB/f.u. The theoretical density is 4.0 Mg/m³.

The structure belongs to space group Fm-3m (No. 225); the cell edges are 11.082, 11.082 and 11.082 Å and the angles 90.00°, 90.00° and 90.00°. The distinct sites, in fractional coordinates, are Rb at (0.250, 0.250, 0.250), Li at (0.000, 0.000, 0.000), Dy at (0.000, 0.000, 0.500) and Br at (0.000, 0.000, 0.248).


no.,raw total energy (eV/cell)
1,-312.319
2,-33.856
3,-73.477
4,-145.028

* * * * *

Record 1
Ba2Li3P7O21 | PBE-GGA | relaxed

Output
Calculated formation energy = -9089.3 kJ/mol of formula units
Total energy = -924.6 eV/cell
Crystal system = monoclinic

abc: 8.714 11.792 18.251
angles: 75.58 90.00 90.00
Fractional coordinates of all 132 atoms:
O1 0.951 0.069 0.062
O2 0.849 0.355 0.256
O3 0.452 0.271 0.680
O4 0.213 0.059 0.302
O5 0.342 0.578 0.947
O6 0.002 0.221 0.679
O7 0.482 0.257 0.033
O8 0.195 0.109 0.612
O9 0.299 0.876 0.566
O10 0.658 0.422 0.053
O11 0.436 0.236 0.824
O12 0.842 0.422 0.553
O13 0.315 0.176 0.389
O14 0.498 0.221 0.179
O15 0.633 0.372 0.924
O16 0.505 0.739 0.535
O17 0.983 0.317 0.822
O18 0.158 0.578 0.447
O19 0.952 0.729 0.820
O20 0.502 0.779 0.821
O21 0.483 0.683 0.678
O22 0.218 0.331 0.601
O23 0.136 0.869 0.740
O24 0.799 0.124 0.934
O25 0.049 0.931 0.938
O26 0.701 0.124 0.434
O27 0.734 0.234 0.538
O28 0.005 0.261 0.965
O29 0.815 0.824 0.111
O30 0.367 0.628 0.076
O31 0.201 0.876 0.066
O32 0.451 0.931 0.438
'''
[Written answer]
The structure belongs to space group Fddd (No. 70, origin choice 2); the cell edges are 5.167, 22.892 and 23.235 Å and the angles 90.00°, 90.00° and 90.00°. The distinct sites, in fractional coordinates, are Cu at (0.125, 0.125, 0.125), Cu at (0.125, 0.125, 0.625), Cu at (0.125, 0.261, 0.125), Te at (0.027, 0.068, 0.427) and Br at (0.125, 0.309, 0.310).


Entry 2:
An optimized crystal structure of DyBr3. Source: the Materials Project, functional GGA-PBE.

The volume is 46.5 A^3/atom. The energy of formation is -2.253 eV/atom. The theoretical density is 3.6 Mg/m³.

The structure belongs to space group P6_3/mmc (No. 194); the cell edges are 10.7092, 10.7092 and 3.7439 Å and the angles 90.00°, 90.00° and 120.00°. The distinct sites, in fractional coordinates, are Dy at (0.3333, 0.6667, 0.2500) and Br at (0.2191, 0.4382, 0.7500).


Entry 3:
An optimized crystal structure of KDyBr3. Source: the Materials Project, functional GGA-PBE.

The volume is 34.1 A^3/atom. The energy of formation is -1.869 eV/atom. For the total magnetization, the calculation gives 0.99 μB/f.u. The theoretical density is 4.3 Mg/m³.

The structure belongs to space group Pnma (No. 62); the cell edges are 8.073, 11.057 and 7.644 Å and the angles 90.00°, 90.00° and 90.00°. The distinct sites, in fractional coordinates, are K at (0.073, 0.250, 0.029), Dy at (0.000, 0.000, 0.500), Br at (0.026, 0.750, 0.397) and Br at (0.204, 0.546, 0.801).


Entry 4:
An optimized crystal structure of Rb2LiDyBr6. Source: the Materials Project, functional GGA-PBE.

The volume is 34.0 A^3/atom. The energy of formation is -2.116 eV/atom. For the total magnetization, the calculation gives 0.00 μB/f.u. The theoretical density is 4.0 Mg/m³.

The structure belongs to space group Fm-3m (No. 225); the cell edges are 11.082, 11.082 and 11.082 Å and the angles 90.00°, 90.00° and 90.00°. The distinct sites, in fractional coordinates, are Rb at (0.250, 0.250, 0.250), Li at (0.000, 0.000, 0.000), Dy at (0.000, 0.000, 0.500) and Br at (0.000, 0.000, 0.248).


no.,raw total energy (eV/cell)
1,-312.319
2,-33.856
3,-73.477
4,-145.028

* * * * *

Record 1
Ba2Li3P7O21 | PBE-GGA | relaxed

Output
Calculated formation energy = -9089.3 kJ/mol of formula units
Total energy = -924.6 eV/cell
Crystal system = monoclinic

abc: 8.714 11.792 18.251
angles: 75.58 90.00 90.00
Fractional coordinates of all 132 atoms:
O1 0.951 0.069 0.062
O2 0.849 0.355 0.256
O3 0.452 0.271 0.680
O4 0.213 0.059 0.302
O5 0.342 0.578 0.947
O6 0.002 0.221 0.679
O7 0.482 0.257 0.033
O8 0.195 0.109 0.612
O9 0.299 0.876 0.566
O10 0.658 0.422 0.053
O11 0.436 0.236 0.824
O12 0.842 0.422 0.553
O13 0.315 0.176 0.389
O14 0.498 0.221 0.179
O15 0.633 0.372 0.924
O16 0.505 0.739 0.535
O17 0.983 0.317 0.822
O18 0.158 0.578 0.447
O19 0.952 0.729 0.820
O20 0.502 0.779 0.821
O21 0.483 0.683 0.678
O22 0.218 0.331 0.601
O23 0.136 0.869 0.740
O24 0.799 0.124 0.934
O25 0.049 0.931 0.938
O26 0.701 0.124 0.434
O27 0.734 0.234 0.538
O28 0.005 0.261 0.965
O29 0.815 0.824 0.111
O30 0.367 0.628 0.076
O31 0.201 0.876 0.066
O32 0.451 0.931 0.438